Source
+++
Entry 1:
DFT (PBE) results for crystalline LaErIn2 at its relaxed geometry.

POSCAR file:
```
LaErIn2
1.0
0.000 3.856 3.856
3.856 0.000 3.856
3.856 3.856 0.000
La In Er
1 2 1
direct
0.000 0.000 0.000
0.250 0.250 0.250
0.750 0.750 0.750
0.500 0.500 0.500
```

Output
**Calculated formation energy**: -1.87 eV/f.u.
**E**: -4.2204 eV/atom


Entry 2:
DFT (PBE) results for crystalline LiErIn2 at its relaxed geometry.

POSCAR file:
```
LiErIn2
1.0
2.476 -3.670 -2.558
-1.821 -4.778 -0.017
-2.024 -1.949 -4.272
Li Er In
1 1 2
direct
0.000 0.000 0.000
0.500 0.500 0.500
0.750 0.750 0.750
0.250 0.250 0.250
```

Output
**Calculated formation energy**: -1.46 eV/f.u.
**E**: -3.3599 eV/atom


Entry 3:
DFT (PBE) results for crystalline ErMgIn at its relaxed geometry.

POSCAR file:
```
ErMgIn
1.0
0.941 3.872 6.401
-3.022 -6.905 0.180
4.207 -1.828 0.488
Mg Er In
3 3 3
direct
0.246 0.000 0.500
0.754 0.754 0.500
0.000 0.246 0.500
0.424 0.424 0.000
0.000 0.576 0.000
0.576 0.000 0.000
0.333 0.667 0.500
0.000 0.000 0.000
0.667 0.333 0.500
```

Output
**Calculated formation energy**: -1.08 eV/f.u.
**E**: -3.3342 eV/atom


Entry 4:
DFT (PBE) results for crystalline Er3InN at its relaxed geometry.

POSCAR file:
```
Er3InN
1.0
-2.215 3.843 1.739
-4.150 -1.635 -1.673
-0.753 -2.292 4.108
Er In N
3 1 1
direct
0.500 0.000 0.500
0.500 0.500 0.000
0.000 0.500 0.500
0.000 0.000 0.000
0.500 0.500 0.500
```

Output
**Calculated formation energy**: -5.42 eV/f.u.
**E**: -5.9708 eV/atom


Entry 5:
DFT (PBE) results for crystalline Er5InNi2 at its relaxed geometry.

POSCAR file:
```
Er5InNi2
1.0
-0.229 -8.474 1.206
6.037 -1.164 5.960
-6.585 5.467 0.271
Er Ni In
10 4 2
direct
0.000 0.000 0.000
0.704 0.527 0.500
0.973 0.796 0.500
0.527 0.027 0.823
0.500 0.500 0.000
0.473 0.973 0.177
0.204 0.704 0.177
0.296 0.473 0.500
0.027 0.204 0.500
0.796 0.296 0.823
0.376 0.124 0.500
0.124 0.624 0.748
0.624 0.876 0.500
0.876 0.376 0.252
0.250 0.250 0.000
0.750 0.750 0.000
```

Output
**Spin magnetization**: 0.000 μB/atom
**Calculated formation energy**: -2.97 eV/f.u.
**E**: -5.0145 eV/atom


Entry 6:
DFT (PBE) results for crystalline ErInNi4 at its relaxed geometry.

POSCAR file:
```
ErInNi4
1.0
-3.003 3.593 1.642
-0.315 4.292 -2.471
-4.131 1.121 -2.510
Ni Er In
4 1 1
direct
0.626 0.626 0.122
0.626 0.626 0.626
0.122 0.626 0.626
0.626 0.122 0.626
0.250 0.250 0.250
0.000 0.000 0.000
```

Output
**Calculated formation energy**: -2.42 eV/f.u.
**E**: -5.4762 eV/atom


Entry 7:
DFT (PBE) results for crystalline Er10In20Ni9 at its relaxed geometry.

POSCAR file:
```
Er10In20Ni9
1.0
13.427 0.000 0.000
0.000 13.427 0.000
0.000 0.000 9.013
Ni In Er
18 40 20
direct
0.344 0.156 0.898
0.844 0.656 0.102
0.500 0.777 0.409
0.344 0.844 0.898
0.500 0.500 0.000
0.223 0.500 0.591
0.277 0.000 0.409
0.777 0.500 0.591
0.000 0.000 0.000
0.156 0.656 0.102
0.500 0.223 0.409
0.723 0.000 0.409
0.656 0.844 0.898
0.156 0.344 0.102
0.844 0.344 0.102
0.000 0.277 0.591
0.000 0.723 0.591
0.656 0.156 0.898
0.153 0.847 0.000
0.131 0.869 0.500
0.667 0.000 0.094
0.369 0.631 0.500
0.616 0.500 0.764
0.384 0.500 0.764
0.368 0.868 0.590
0.653 0.653 0.000
0.653 0.347 0.000
0.500 0.833 0.094
0.631 0.631 0.500
0.631 0.369 0.500
0.869 0.869 0.500
+++

Work order
It remains to find the line further above that holds "energy**: -1.46", then print that line and all lines after it there.

Worked solution
**Calculated formation energy**: -1.46 eV/f.u.
**E**: -3.3599 eV/atom


Entry 3:
DFT (PBE) results for crystalline ErMgIn at its relaxed geometry.

POSCAR file:
```
ErMgIn
1.0
0.941 3.872 6.401
-3.022 -6.905 0.180
4.207 -1.828 0.488
Mg Er In
3 3 3
direct
0.246 0.000 0.500
0.754 0.754 0.500
0.000 0.246 0.500
0.424 0.424 0.000
0.000 0.576 0.000
0.576 0.000 0.000
0.333 0.667 0.500
0.000 0.000 0.000
0.667 0.333 0.500
```

Output
**Calculated formation energy**: -1.08 eV/f.u.
**E**: -3.3342 eV/atom


Entry 4:
DFT (PBE) results for crystalline Er3InN at its relaxed geometry.

POSCAR file:
```
Er3InN
1.0
-2.215 3.843 1.739
-4.150 -1.635 -1.673
-0.753 -2.292 4.108
Er In N
3 1 1
direct
0.500 0.000 0.500
0.500 0.500 0.000
0.000 0.500 0.500
0.000 0.000 0.000
0.500 0.500 0.500
```

Output
**Calculated formation energy**: -5.42 eV/f.u.
**E**: -5.9708 eV/atom


Entry 5:
DFT (PBE) results for crystalline Er5InNi2 at its relaxed geometry.

POSCAR file:
```
Er5InNi2
1.0
-0.229 -8.474 1.206
6.037 -1.164 5.960
-6.585 5.467 0.271
Er Ni In
10 4 2
direct
0.000 0.000 0.000
0.704 0.527 0.500
0.973 0.796 0.500
0.527 0.027 0.823
0.500 0.500 0.000
0.473 0.973 0.177
0.204 0.704 0.177
0.296 0.473 0.500
0.027 0.204 0.500
0.796 0.296 0.823
0.376 0.124 0.500
0.124 0.624 0.748
0.624 0.876 0.500
0.876 0.376 0.252
0.250 0.250 0.000
0.750 0.750 0.000
```

Output
**Spin magnetization**: 0.000 μB/atom
**Calculated formation energy**: -2.97 eV/f.u.
**E**: -5.0145 eV/atom


Entry 6:
DFT (PBE) results for crystalline ErInNi4 at its relaxed geometry.

POSCAR file:
```
ErInNi4
1.0
-3.003 3.593 1.642
-0.315 4.292 -2.471
-4.131 1.121 -2.510
Ni Er In
4 1 1
direct
0.626 0.626 0.122
0.626 0.626 0.626
0.122 0.626 0.626
0.626 0.122 0.626
0.250 0.250 0.250
0.000 0.000 0.000
```

Output
**Calculated formation energy**: -2.42 eV/f.u.
**E**: -5.4762 eV/atom


Entry 7:
DFT (PBE) results for crystalline Er10In20Ni9 at its relaxed geometry.

POSCAR file:
```
Er10In20Ni9
1.0
13.427 0.000 0.000
0.000 13.427 0.000
0.000 0.000 9.013
Ni In Er
18 40 20
direct
0.344 0.156 0.898
0.844 0.656 0.102
0.500 0.777 0.409
0.344 0.844 0.898
0.500 0.500 0.000
0.223 0.500 0.591
0.277 0.000 0.409
0.777 0.500 0.591
0.000 0.000 0.000
0.156 0.656 0.102
0.500 0.223 0.409
0.723 0.000 0.409
0.656 0.844 0.898
0.156 0.344 0.102
0.844 0.344 0.102
0.000 0.277 0.591
0.000 0.723 0.591
0.656 0.156 0.898
0.153 0.847 0.000
0.131 0.869 0.500
0.667 0.000 0.094
0.369 0.631 0.500
0.616 0.500 0.764
0.384 0.500 0.764
0.368 0.868 0.590
0.653 0.653 0.000
0.653 0.347 0.000
0.500 0.833 0.094
0.631 0.631 0.500
0.631 0.369 0.500
0.869 0.869 0.500